~~~
Entry a
# AlTeIr2 | Alexandria | PBEsol | optimized geometry
data_AlTeIr2
_space_group_name_H-M_alt 'I -4 2 d'
_space_group_IT_number 122
_space_group_name_Hall 'I -4 2bw'
_cell_length_a 4.126
_cell_length_b 4.126
_cell_length_c 16.581
_cell_angle_alpha 90.00
_cell_angle_beta 90.00
_cell_angle_gamma 90.00
loop_
_atom_site_label
_atom_site_type_symbol
_atom_site_fract_x
_atom_site_fract_y
_atom_site_fract_z
_atom_site_occupancy
Al1 Al 0.000 0.000 0.000 1
Te1 Te 0.000 0.000 0.500 1
Ir1 Ir 0.240 0.250 0.125 1
# Theoretical density, g/cm³: 12.685
# Magnetization, μB per cell: 0.00

***

Entry b
# AlTeIr2 | Alexandria | PBEsol | optimized geometry
data_AlTeIr2
_space_group_name_H-M_alt 'I -4 m 2'
_space_group_IT_number 119
_space_group_name_Hall 'I -4 -2'
_cell_length_a 3.809
_cell_length_b 3.809
_cell_length_c 8.831
_cell_angle_alpha 90.00
_cell_angle_beta 90.00
_cell_angle_gamma 90.00
loop_
_atom_site_label
_atom_site_type_symbol
_atom_site_fract_x
_atom_site_fract_y
_atom_site_fract_z
_atom_site_occupancy
Al1 Al 0.000 0.000 0.000 1
Te1 Te 0.000 0.500 0.750 1
Ir1 Ir 0.000 0.000 0.500 1
Ir2 Ir 0.000 0.500 0.250 1
# Theoretical density, g/cm³: 13.974
# Magnetization, μB per cell: 0.00

***

Energy relative to the most stable one, in meV per atom: entry a 0; entry b 55

***

Entry a
# AlTlIr2 | Alexandria | PBEsol | optimized geometry
data_AlTlIr2
_space_group_name_H-M_alt 'P m m 2'
_space_group_IT_number 25
_cell_length_a 2.868
_cell_length_b 3.884
_cell_length_c 5.845
_cell_angle_alpha 90.00
_cell_angle_beta 90.00
_cell_angle_gamma 90.00
loop_
_space_group_symop_operation_xyz
'x,y,z'
'-x,-y,z'
'-x,y,z'
'x,-y,z'
loop_
_atom_site_label
_atom_site_type_symbol
_atom_site_fract_x
_atom_site_fract_y
_atom_site_fract_z
_atom_site_occupancy
Al1 Al 0.000 0.000 0.000 1
Tl1 Tl 0.500 0.500 0.660 1
Ir1 Ir 0.000 0.000 0.426 1
Ir2 Ir 0.500 0.500 0.142 1
# Theoretical density, g/cm³: 15.705
# Magnetization, μB per cell: 0.00

***

Entry b
# AlTlIr2 | Alexandria | PBEsol | optimized geometry
data_AlTlIr2
_space_group_name_H-M_alt 'I -4 m 2'
_space_group_IT_number 119
_space_group_name_Hall 'I -4 -2'
_cell_length_a 3.864
_cell_length_b 3.864
_cell_length_c 8.465
_cell_angle_alpha 90.00
_cell_angle_beta 90.00
_cell_angle_gamma 90.00
loop_
_atom_site_label
_atom_site_type_symbol
_atom_site_fract_x
_atom_site_fract_y
_atom_site_fract_z
_atom_site_occupancy
Al1 Al 0.000 0.000 0.000 1
Tl1 Tl 0.000 0.500 0.750 1
Ir1 Ir 0.000 0.000 0.500 1
Ir2 Ir 0.000 0.500 0.250 1
# Theoretical density, g/cm³: 16.179
# Magnetization, μB per cell: 0.00

***

Energy relative to the most stable one, in meV per atom: entry a 0; entry b 107

***

Entry a
# K3Al | Alexandria | PBEsol | optimized geometry
data_K3Al
_space_group_name_H-M_alt 'I m m 2'
_space_group_IT_number 44
_cell_length_a 4.760
_cell_length_b 12.382
_cell_length_c 6.225
_cell_angle_alpha 90.00
_cell_angle_beta 90.00
_cell_angle_gamma 90.00
loop_
_space_group_symop_operation_xyz
'x,y,z'
'-x,-y,z'
'-x,y,z'
'x,-y,z'
'x+1/2,y+1/2,z+1/2'
'-x+1/2,-y+1/2,z+1/2'
'-x+1/2,y+1/2,z+1/2'
'x+1/2,-y+1/2,z+1/2'
loop_
_atom_site_label
_atom_site_type_symbol
_atom_site_fract_x
_atom_site_fract_y
_atom_site_fract_z
_atom_site_occupancy
K1 K 0.000 0.000 0.000 1
K2 K 0.000 0.218 0.501 1
Al1 Al 0.000 0.500 0.998 1
# Theoretical density, g/cm³: 1.306
# Magnetization, μB per cell: 0.71

***

Entry b
# K3Al | Alexandria | PBEsol | optimized geometry
data_K3Al
_space_group_name_H-M_alt 'P 63/m m c'
_space_group_IT_number 194
_space_group_name_Hall '-P 6c 2c'
_cell_length_a 8.0310
_cell_length_b 8.0310
_cell_length_c 6.4376
_cell_angle_alpha 90.00
_cell_angle_beta 90.00
_cell_angle_gamma 120.00
loop_
_atom_site_label
_atom_site_type_symbol
_atom_site_fract_x
_atom_site_fract_y
_atom_site_fract_z
_atom_site_occupancy
K1 K 0.1794 0.3588 0.2500 1
Al1 Al 0.3333 0.6667 0.7500 1
# Theoretical density, g/cm³: 1.333
# Magnetization, μB per cell: 0.00

***

Energy relative to the most stable one, in meV per atom: entry a 6; entry b 0

***
~~~
Next, count the lines further above that contain the word "stable" and give the number alone.
3